I remember when Khrysso asked me to marry him on Thanksgiving Day last year. Our relationship took off like a rocket after we started dating in August, so he might have asked me before that, too, but that\’s the one that sticks as official. He understood the complex circumstances around my separation from Sheri, and we started planning a wedding for \”as soon as possible,\” pending my again becoming a single man when Sheri\’s disability benefits were settled. We never dreamed I would become a widower instead of a divorcee. We considered how long to wait before moving ahead with the wedding, what would seem respectful, but practically, I was already in transition. Ending my life with Sheri had never been a consideration, only ending our relationship as a married couple. Saying goodbye and letting go was grief enough, without delaying the joy of moving on. One of the plagues of my life to date has been living with a spirit of procrastination, dragging feet, and putting off things that desperately need doing before the opportunity is lost. No more. So we set the date and are forging ahead.
Khrysso and I wrote the following for our wedding listing on withjoy.com. I thought I\’d share it here as well. It\’s just so remarkable to me that a whole new life became possible so abruptly last August with one date for coffee. Just goes to show, one should never lose hope, and that when you get on with the business of living authentically, happiness sneaks in and slugs you with a brick.
Doug knew from a very young age that he was attracted to men, but was taught that the Christian thing to do was bury that demon and live straight. Fortunately, he found love with his best friend, Sheri, and they got married and eventually raised children, but as proven over and over, marriage and prayer didn’t take the gay away.
Ironically, it wasn\’t because of the gay thing that Doug and Sheri finally agreed to divorce. They began the process of separating gradually, and Doug wanted to make sure that Sheri and their children would be as ready as they could be for independence.
Khrysso never married and never had a long-term relationship with a man, either.
Both of our lives began to revolve around Second April Galerie: Doug’s because of the Kathleen Howland Theatre, home of his Gilda Shedstecker Presents! theatre company and because of his artist space, Doug’s World Downtown, and Khrysso’s because Second April became the gallery where he exhibited his art.
Materials data, as found in the file =
(1)
The following is a calculated powder X-ray diffraction pattern of PaB2S4. It was derived from the PBE geometry in Alexandria, using Cu Kα X-rays.
Lines closer than 0.1° are merged.

```
data_PaB2S4
_chemical_formula_sum 'Pa2 B4 S8'
_space_group_name_H-M_alt 'I 4/m'
_space_group_IT_number 87
_space_group_name_Hall '-I 4'
_cell_length_a 6.984
_cell_length_b 6.984
_cell_length_c 4.948
_cell_angle_alpha 90.00
_cell_angle_beta 90.00
_cell_angle_gamma 90.00
loop_
_atom_site_label
_atom_site_type_symbol
_atom_site_fract_x
_atom_site_fract_y
_atom_site_fract_z
Pa1 Pa 0.000 0.000 0.000
B1 B 0.000 0.500 0.250
S1 S 0.121 0.677 0.500
```

The 8 most intense peaks (2θ = 10–80°), sorted by position:
- 18.0°, 4.939 Å, intensity 38, hkl 1 1 0
- 22.0°, 4.038 Å, intensity 82, hkl 1 0 1
- 25.5°, 3.492 Å, intensity 29, hkl 2 0 0
- 33.9°, 2.641 Å, intensity 100, hkl 1 2 1
- 36.3°, 2.472 Å, intensity 32, hkl 0 0 2
- 40.8°, 2.210 Å, intensity 48, hkl 3 1 0
- 55.8°, 1.648 Å, intensity 32, hkl 3 1 2
- 70.0°, 1.345 Å, intensity 25, hkl 4 3 1

(2)
The following is a calculated powder X-ray diffraction pattern of PaBS4. It was derived from the PBE geometry in Alexandria, using Cu Kα X-rays.
Lines closer than 0.1° are merged.

```
data_PaBS4
_chemical_formula_sum 'Pa4 B4 S16'
_space_group_name_H-M_alt 'C 1 2/c 1'
_space_group_IT_number 15
_space_group_name_Hall '-C 2yc'
_cell_length_a 7.116
_cell_length_b 11.811
_cell_length_c 6.893
_cell_angle_alpha 90.00
_cell_angle_beta 121.07
_cell_angle_gamma 90.00
loop_
_atom_site_label
_atom_site_type_symbol
_atom_site_fract_x
_atom_site_fract_y
_atom_site_fract_z
Pa1 Pa 0.000 0.125 0.250
B1 B 0.000 0.375 0.750
S1 S 0.087 0.287 0.574
S2 S 0.238 0.037 0.074
```

The 8 most intense peaks (2θ = 10–80°), sorted by position:
- 16.4°, 5.416 Å, intensity 100, hkl 1 1 0
- 21.3°, 4.175 Å, intensity 95, hkl 0 2 1
- 27.0°, 3.307 Å, intensity 37, hkl 1 1 -2
- 29.3°, 3.047 Å, intensity 49, hkl 2 0 -2
- 34.6°, 2.592 Å, intensity 45, hkl 1 3 1
- 39.5°, 2.282 Å, intensity 28, hkl 3 1 -1
- 41.0°, 2.202 Å, intensity 42, hkl 1 5 0
- 42.6°, 2.120 Å, intensity 59, hkl 2 4 -2

(3)
The following is a calculated powder X-ray diffraction pattern of Pa4BS3. It was derived from the PBE geometry in Alexandria, using Cu Kα X-rays.
Lines closer than 0.1° are merged.

```
data_Pa4BS3
_chemical_formula_sum 'Pa8 B2 S6'
_space_group_name_H-M_alt 'P 1 2/c 1'
_space_group_IT_number 13
_space_group_name_Hall '-P 2yc'
_cell_length_a 6.742
_cell_length_b 7.725
_cell_length_c 6.666
_cell_angle_alpha 90.00
_cell_angle_beta 109.30
_cell_angle_gamma 90.00
loop_
_atom_site_label
_atom_site_type_symbol
_atom_site_fract_x
_atom_site_fract_y
_atom_site_fract_z
Pa1 Pa 0.231 0.115 0.001
Pa2 Pa 0.241 0.366 0.490
B1 B 0.000 0.126 0.250
S1 S 0.000 0.374 0.750
S2 S 0.500 0.126 0.750
S3 S 0.500 0.375 0.250
```

The 8 most intense peaks (2θ = 10–80°), sorted by position:
- 28.0°, 3.181 Å, intensity 30, hkl 2 0 0
- 28.3°, 3.152 Å, intensity 89, hkl 0 0 2
As fellow artists in the Canton Arts District, Doug friended Khrysso on Facebook and we maintained an online acquaintance for a couple years. Khrysso didn’t know that Doug was interested in men… though he did think of him as “that cute guy with the gallery upstairs.” They managed not to catch each other’s eyes, even, in real time — not that Doug was yet available — until Second April changed hands and became Avenue Arts.
By that time Doug had begun to live a separate life as a gay man, thinking that he would live a solitary life. Khrysso had been used to being single for so long that it never occurred to him that romance might ever work out for him.
But one day, Khrysso asked Doug at the gallery to help him figure out the circuit breakers for the lights, and that broke the ice. Soon after, Doug made a joke (on Facebook) about never getting a date, and Khrysso said, “Well, it might help if people knew if you dated men or women.” Doug took a deep breath and answered, “men.”
Well, why didn’t you say so?
Within days they had a date planned at Muggswiggz café. They met at 7:00 and closed the joint.
____________
This entry pairs a crystal structure of CeFe4Sb12 with its theoretical powder XRD pattern. Radiation: a wavelength of 1.5418 Å. Structure: a structure optimized by DFT (PBE).

Structure:
Unit cell a=7.930 b=7.930 c=7.930 alpha=109.47 beta=109.47 gamma=109.47
Element x y z (fractional)
Ce  0.000  0.000  0.000
Fe  0.000  0.000  0.500
Fe  0.000  0.500  0.000
Fe  0.500  0.000  0.000
Fe  0.500  0.500  0.500
Sb  0.163  0.497  0.334
Sb  0.163  0.829  0.666
Sb  0.171  0.334  0.837
Sb  0.334  0.163  0.497
Sb  0.334  0.837  0.171
Sb  0.497  0.334  0.163
Sb  0.503  0.666  0.837
Sb  0.666  0.163  0.829
Sb  0.666  0.837  0.503
Sb  0.829  0.666  0.163
Sb  0.837  0.171  0.334
Sb  0.837  0.503  0.666

Largest 8 diffraction maxima, sorted by position, 5 to 70 degrees two-theta:
- 2θ 30.88, d 2.895, rel. 100
- 2θ 36.73, d 2.447, rel. 51
- 2θ 44.24, d 2.047, rel. 12
- 2θ 48.72, d 1.869, rel. 22
- 2θ 50.85, d 1.796, rel. 22
- 2θ 58.81, d 1.570, rel. 18
- 2θ 60.69, d 1.526, rel. 12
- 2θ 69.65, d 1.350, rel. 18

***

This entry pairs a crystal structure of EuSnHg with its theoretical powder XRD pattern. Radiation: a wavelength of 1.5418 Å. Structure: a structure optimized by DFT (PBE).

Structure:
Unit cell a=4.985 b=4.985 c=7.879 alpha=90.00 beta=90.00 gamma=120.00
Element x y z (fractional)
Eu  0.000  0.000  0.000
Eu  0.000  0.000  0.500
Sn  0.333  0.667  0.287
Sn  0.667  0.333  0.787
Hg  0.333  0.667  0.696
Hg  0.667  0.333  0.196

Largest 8 diffraction maxima, sorted by position, 5 to 70 degrees two-theta:
- 2θ 23.50, d 3.786, rel. 24
- 2θ 30.72, d 2.910, rel. 100
- 2θ 36.04, d 2.492, rel. 90
- 2θ 40.19, d 2.244, rel. 27
- 2θ 48.07, d 1.893, rel. 29
- 2θ 59.85, d 1.545, rel. 15
- 2θ 61.52, d 1.507, rel. 28
- 2θ 64.79, d 1.439, rel. 17

***

This entry pairs a crystal structure of Cs3EuCl6 with its theoretical powder XRD pattern. Radiation: a wavelength of 1.5418 Å. Structure: a structure optimized by DFT (PBE).

Structure:
Unit cell a=8.474 b=8.474 c=8.474 alpha=60.00 beta=60.00 gamma=60.00
Element x y z (fractional)
Cs  0.000  0.000  0.000
Cs  0.250  0.250  0.250
Cs  0.750  0.750  0.750
Eu  0.500  0.500  0.500
Cl  0.273  0.273  0.727
Cl  0.273  0.727  0.273
Cl  0.273  0.727  0.727
Cl  0.727  0.273  0.273
Cl  0.727  0.273  0.727
Cl  0.727  0.727  0.273

Largest 8 diffraction maxima, sorted by position, 5 to 70 degrees two-theta:
- 2θ 20.97, d 4.237, rel. 100
- 2θ 29.82, d 2.996, rel. 53
- 2θ 36.74, d 2.446, rel. 46
- 2θ 42.68, d 2.119, rel. 37
- 2θ 48.01, d 1.895, rel. 25
- 2θ 52.93, d 1.730, rel. 12
- 2θ 57.55, d 1.601, rel. 28
- 2θ 66.16, d 1.412, rel. 13

***

This entry pairs a crystal structure of CuSi7N10 with its theoretical powder XRD pattern. Radiation: a wavelength of 1.5418 Å. Structure: a structure optimized by DFT (PBE).

Structure:
Unit cell a=6.699 b=6.910 c=9.701 alpha=90.00 beta=103.88 gamma=90.00
Element x y z (fractional)
Cu  0.000  0.095  0.000
Cu  0.000  0.905  0.500
Si  0.139  0.400  0.889
Si  0.139  0.600  0.389
Si  0.325  0.379  0.197
____________
About 10 days later Khrysso had a mild stroke and was hospitalized for a few days. Doug fretted inordinately while respecting Khrysso\’s wish not to receive visitors, and we immediately resumed dating when he got out. Khrysso healed, and we began to fall for one another, hard and fast.
### Unrelated to this text: data records
'''
# Li3ErBr6
Computed powder diffractogram, Cu Kα, 1.54184 Å. Input: a cell relaxed with GGA-PBE.

```
20
Lattice="3.465 -5.953 0.000 3.465 5.953 0.000 -2.245 0.000 13.066" Properties=species:S:1:pos:R:3 pbc="T T T"
Li 1.782 4.847 9.799
Li -0.553 0.971 13.062
Li 0.569 -0.971 6.529
Li 4.117 0.971 6.537
Li 5.239 -0.971 0.004
Li 2.904 -4.847 3.266
Er 0.610 2.976 6.533
Er 1.733 -2.976 0.000
Br -0.552 0.963 8.088
Br 0.651 3.033 11.502
Br 0.570 -0.963 1.555
Br 1.686 0.970 4.946
Br 2.913 3.033 8.097
Br 0.564 -0.970 11.479
Br 4.122 0.970 1.586
Br 1.774 -3.033 4.969
Br 3.000 -0.970 8.119
Br 4.116 0.963 11.510
Br 4.035 -3.033 1.564
Br 5.238 -0.963 4.977
```

Peak list (10 most intense, 2θ = 10–90°, in order of rising 2θ)
13.55 deg, rel. 34
15.49 deg, rel. 36
17.32 deg, rel. 23
27.32 deg, rel. 32
27.43 deg, rel. 32
31.55 deg, rel. 51
31.80 deg, rel. 100
45.41 deg, rel. 90
56.37 deg, rel. 19
56.61 deg, rel. 19


# ErBrO
Computed powder diffractogram, Cu Kα, 1.54184 Å. Input: a cell relaxed with GGA-PBE.

```
6
Lattice="3.822 0.000 0.000 0.000 3.822 0.000 0.000 0.000 8.623" Properties=species:S:1:pos:R:3 pbc="T T T"
Er 0.956 0.956 1.122
Er 2.867 2.867 7.502
Br 0.956 0.956 5.816
Br 2.867 2.867 2.808
O 0.956 2.867 0.000
O 2.867 0.956 0.000
```

Peak list (10 most intense, 2θ = 10–90°, in order of rising 2θ)
10.26 deg, rel. 54
31.27 deg, rel. 100
33.15 deg, rel. 42
39.22 deg, rel. 14
47.58 deg, rel. 20
54.44 deg, rel. 16
58.05 deg, rel. 35
65.24 deg, rel. 7
78.24 deg, rel. 7
79.26 deg, rel. 7


# Er2Br2O
Computed powder diffractogram, Cu Kα, 1.54184 Å. Input: a cell relaxed with GGA-PBE.

```
5
Lattice="4.060 0.000 0.000 0.000 4.060 0.000 0.000 0.000 13.088" Properties=species:S:1:pos:R:3 pbc="T T T"
Er 0.000 0.000 2.042
Er 0.000 0.000 11.046
Br 0.000 0.000 4.643
Br 0.000 0.000 8.446
O 0.000 0.000 0.000
```

Peak list (10 most intense, 2θ = 10–90°, in order of rising 2θ)
21.89 deg, rel. 100
27.25 deg, rel. 14
31.15 deg, rel. 41
35.23 deg, rel. 29
41.86 deg, rel. 18
44.63 deg, rel. 15
47.30 deg, rel. 18
50.24 deg, rel. 21
52.70 deg, rel. 13
58.10 deg, rel. 14


# Eu2Br2F
Computed powder diffractogram, Cu Kα, 1.54184 Å. Input: a cell relaxed with GGA-PBE.

```
5
Lattice="5.969 0.000 0.000 0.000 5.969 0.000 0.000 0.000 13.753" Properties=species:S:1:pos:R:3 pbc="T T T"
Eu 0.000 0.000 2.318
Eu 0.000 0.000 11.434
Br 0.000 0.000 5.015
Br 0.000 0.000 8.738
F 0.000 0.000 0.000
```

Peak list (10 most intense, 2θ = 10–90°, in order of rising 2θ)
14.84 deg, rel. 100
19.69 deg, rel. 11
21.05 deg, rel. 45
29.96 deg, rel. 31
33.58 deg, rel. 36
42.23 deg, rel. 9
42.87 deg, rel. 16
48.21 deg, rel. 10
52.63 deg, rel. 9
55.52 deg, rel. 11


# Eu2H3Br
Computed powder diffractogram, Cu Kα, 1.54184 Å. Input: a cell relaxed with GGA-PBE.

```
6
Lattice="4.072 0.000 0.000 -2.036 3.527 0.000 0.000 0.000 7.192" Properties=species:S:1:pos:R:3 pbc="T T T"
Eu 0.000 2.351 2.242
Eu 2.036 1.176 4.949
H 0.000 0.000 3.596
H 0.000 2.351 4.631
H 2.036 1.176 2.560
Br 0.000 0.000 0.000
```
'''
### The data records stop here
A few weeks later, Doug said something profound (Khrysso forgets exactly what), and Khrysso knew that this man was his future. He put on Facebook that he was in a relationship. Doug was horrified but also really, really thrilled. Doug uses the word “inevitable” to describe how quickly we became sure of each other. By Thanksgiving, we knew that we had a future together.
In the meantime, Sheri was sicker than anybody knew, and she died tragically and unexpectedly before the legalities were ironed out. Doug suddenly had two daughters to finish raising alone. But he wasn’t alone, because Khrysso was, as he is fond of saying, “in it for all of it.” We knew that it was much more than a hunch that this group should somehow form one family.
So we were free to marry, and now we will.